Vomer Terminology
‘Vomer’ is a Latin word. The term is used for the thin plate of bone between the nostrils.
Vomer Location
Vomer forms the posteroinferior part of the septum of the nose.
Vomer Features And Attachments
Vomer has got two surfaces (right and left) and four borders (superior, inferior, anterior, and posterior).
Vomer Surfaces
- It has small grooves for vessels.
- A large groove runs downwards and forwards. This is meant for nasopalatine nerve and vessels.
Vomer Borders
- Superior Border
== Next to the article, the page also holds calculated crystals ==
+++
Diffraction record for Li2MnPHO5. The X-ray powder pattern is simulated, not measured: it uses a cell relaxed with PBE+U and copper Kα.

Cell lengths 5.356, 5.551, 7.593 Å; angles 108.65, 109.75, 94.85 degrees
Sites, in units of the cell vectors:
1 Li 0.014 0.146 0.341
2 Li 0.266 0.391 0.192
3 Li 0.734 0.609 0.808
4 Li 0.986 0.854 0.659
5 Mn 0.500 0.000 0.000
6 Mn 0.500 0.000 0.500
7 P 0.169 0.371 0.741
8 P 0.831 0.629 0.259
9 H 0.178 0.909 0.137
10 H 0.822 0.091 0.863
11 O 0.112 0.775 0.432
12 O 0.151 0.660 0.837
13 O 0.224 0.237 0.899
14 O 0.330 0.060 0.224
15 O 0.388 0.353 0.649
16 O 0.612 0.647 0.351
17 O 0.670 0.940 0.776
18 O 0.776 0.763 0.101
19 O 0.849 0.340 0.163
20 O 0.888 0.225 0.568

Main lines, sorted by position (5 to 70 degrees two-theta):
hkl  two_theta  I/Imax
0 1 0  17.27  23
1 0 -1  17.81  21
1 0 0  18.02  15
-1 1 1  25.63  21
0 1 -2  25.98  100
1 1 0  27.68  55
2 0 -1  33.59  13
-1 1 2  34.65  14
1 -2 0  35.78  29
2 0 -3  43.13  15
1 -3 2  53.32  14
0 2 -4  53.50  19
+++
- It is thick.
- Two lateral projections (alae) enclose a deep furrow that fits over the rostrum of the sphenoid.
- The margin of ala intervenes between the body of the sphenoid and the vaginal process of the medial pterygoid plate. Under the surface of the ala forms a vomer-ovaginal canal with the vaginal process.
- Inferior Border
- It articulates with the nasal crest formed by the maxillae and palatine bones.
- Anterior Border
- It is the longest border.
- Its upper half articulates with the posterior border of the perpendicular plate of the ethmoid bone.
- Its lower half is attached to septal cartilage.
- Posterior Border
- It is free.
- It is situated between two posterior nasal apertures (choanae).
Vomer Ossification
- Vomer develops by ossification of the membrane covering the median septal part of the cartilaginous nasal capsule.
- One center of ossification appears on each side of the cartilage at about the 8th week of intrauterine life. giving rise to two bony plates separated by a cartilage.
- Two bony plates fuse with each other in the lower part at about the 12th week of intrauterine life.
- The cartilaginous plate is gradually absorbed allowing the fusion of two bony plates which proceed upwards from below. Fusion is completed at puberty.
Vomer Applied Anatomy
- The vomer is paper thin and does not resist much force responsible for the fracture.
- The vomer is involved in all three types of Le Fort fractures of the mid-facial skeleton.
- Vomer receives adequate blood supply from periosteal arteries and therefore all the fragments of fractured bone retain a periosteal blood supply.
- A transverse fracture of the vomer due to a direct blow on the nose can lead to deviation of the nasal septum (DNS).
- The vomer is clothed in mucosa over large areas of its surfaces, and therefore, its fracture opens into the nasal cavity with a potential risk of infection.
- Vomer may be deviated from the median plane as a result of birth injury or a congenital malformation.
- In case of severe deviation, the nasal septum comes into contact with the lateral wall of the nasal cavity. Surgical repair (submucosal resection-SMR) is usually necessary to correct the deviation.